Comments by Bob Corbett November 2012
For Rb3Pa3Te8Pd, a DFT-relaxed cell (PBE, Alexandria) gives the calculated PXRD pattern in this record (Cu Kα).
Lines closer than 0.1° are merged.

Cell and atoms:
a b c (Å): 8.697 8.697 10.040
angles (deg): 114.29 114.29 61.72
Fractional positions:
Rb1 0.000 0.000 0.000
Rb2 0.000 0.500 0.000
Rb3 0.500 0.000 0.000
Pa1 0.000 0.500 0.500
Pa2 0.500 0.000 0.500
Pa3 0.500 0.500 0.500
Te1 0.214 0.214 0.682
Te2 0.234 0.727 0.696
Te3 0.264 0.264 0.294
Te4 0.273 0.766 0.304
Te5 0.727 0.234 0.696
Te6 0.736 0.736 0.706
Te7 0.766 0.273 0.304
Te8 0.786 0.786 0.318
Pd1 0.000 0.000 0.500

Top 10 peaks for 10 to 90 degrees two-theta, by angle:
2theta, Rel. int.
10.04, 89
27.02, 100
27.22, 45
33.47, 34
35.72, 32
36.66, 17
40.44, 18
41.56, 36
44.31, 15
49.43, 17

=====

Pm2PuScAs4: theoretical XRD peak list (Cu Kα, 1.54184 Å), based on a GGA-PBE-relaxed structure.
Lines closer than 0.1° are merged.

Most intense lines, 2θ = 10–90°, by angle:
2theta  I_rel  (hkl)
26.45  130  0 0 2
30.66  1000  1 1 1
43.74  127  0 2 0
43.94  614  3 1 -1
54.40  132  2 2 -2
72.58  161  5 1 -3

Structure:
Lattice parameters (Å, degrees): 7.1230 4.1393 7.1368 90.00 109.46 90.00
Space group P2/m (No. 10)
Symmetry-distinct sites (fractional):
Pm (0.0000, 0.0000, 0.0000)
Pm (0.5000, 0.5000, 0.0000)
Pu (0.0000, 0.5000, 0.5000)
Sc (0.5000, 0.0000, 0.5000)
As (0.2508, 0.0000, 0.7357)
As (0.2613, 0.5000, 0.2680)

---

Pm3As2Rh6: theoretical XRD peak list (Cu Kα, 1.54184 Å), based on a GGA-PBE-relaxed structure.
Lines closer than 0.1° are merged.

Most intense lines, 2θ = 10–90°, by angle:
2theta  I_rel  (hkl)
33.20  279  2 2 2
35.94  306  3 2 1
40.96  1000  3 3 0
66.32  166  6 2 2
74.60  205  6 3 3
84.13  156  7 4 1

Structure:
Lattice parameters (Å, degrees): 9.3484 9.3484 9.3484 90.00 90.00 90.00
Space group Im-3m (No. 229)
Symmetry-distinct sites (fractional):
Pm (0.0000, 0.0000, 0.2799)
As (0.2500, 0.2500, 0.2500)
Rh (0.0000, 0.3465, 0.3465)

---

Pm3As4Rh4: theoretical XRD peak list (Cu Kα, 1.54184 Å), based on a GGA-PBE-relaxed structure.
Lines closer than 0.1° are merged.

Most intense lines, 2θ = 10–90°, by angle:
2theta  I_rel  (hkl)
33.53  1000  1 2 1
34.58  303  0 1 5
35.89  702  1 1 4
38.90  273  0 0 6
42.42  282  0 3 3
43.46  397  2 0 0

Structure:
Lattice parameters (Å, degrees): 4.1654 7.1990 13.9022 90.00 90.00 90.00
Space group Immm (No. 71)
Symmetry-distinct sites (fractional):
Pm (0.0000, 0.0000, 0.0000)
Pm (0.0000, 0.5000, 0.1251)
As (0.0000, 0.0000, 0.2166)
As (0.0000, 0.2076, 0.5000)
Rh (0.0000, 0.2981, 0.3216)

---

Pm3As4Rh4: theoretical XRD peak list (Cu Kα, 1.54184 Å), based on a GGA-PBE-relaxed structure.
Lines closer than 0.1° are merged.

Most intense lines, 2θ = 10–90°, by angle:
2theta  I_rel  (hkl)
33.32  419  1 0 7
33.78  1000  1 1 4
42.60  287  0 2 0
44.91  482  2 0 0
55.13  198  1 2 7
63.63  172  2 2 0

Structure:
Lattice parameters (Å, degrees): 4.0356 4.2450 25.2455 90.00 90.00 90.00
Space group Immm (No. 71)
Symmetry-distinct sites (fractional):
The play is set in The Thirty Years War. The actual historical war itself was fought between 1618-1648. It was in part an international war in Europe and a religious war. Bertolt Brecht’s play focuses on the religious was between the Catholic house of Hapsburg and the Protestants of Germany, primarily Lutherans and Calvinists. It provided an environment that served Brecht’s purposes.
In Eric Bentley’s introduction he explains that Mother Courage, a woman who follows the soldiers selling rum, clothing and other goods from her cart. Bentley claims, and rightly I think that she is actually a philosopher; not of the Plato, Aristotle, Kant sort, but a common sense one of the people, and represent Brecht on Bentley’s account:
**These data records were left in the piece by mistake:**
-- begin --
Pu2H5Ru2: simulated PXRD pattern (Cu Kα (λ = 1.5418 Å)), based on a cell relaxed with PBE.

Atomic structure:
```
Pu2H5Ru2
1.0
7.8477 -2.5244 0.0000
7.8477 2.5244 0.0000
-1.6265 0.0000 4.7976
Pu H Ru
4 10 4
Direct
0.1314 0.1314 0.1252
0.3687 0.3687 0.3620
0.6313 0.6313 0.6380
0.8686 0.8686 0.8748
0.0000 0.5000 0.0000
0.1238 0.1238 0.6084
0.2502 0.7501 0.2502
0.2499 0.7498 0.7498
0.3762 0.3762 0.8607
0.5000 0.0000 0.0000
0.6238 0.6238 0.1393
0.7501 0.2502 0.2502
0.7498 0.2499 0.7498
0.8762 0.8762 0.3916
0.0000 0.0000 0.5000
0.2500 0.2500 0.7101
0.5000 0.5000 0.0000
0.7500 0.7500 0.2899
```

Largest 8 diffraction maxima, in order of falling intensity, 10° ≤ 2θ ≤ 80°:
2theta  intensity
34.82  100
35.56  24
35.44  24
24.90  17
51.08  17
63.23  17
62.01  14
49.03  9

=====

Entry 1:
Computed powder XRD pattern
Compound: Tl2InAs
Radiation: Cu Kα
Structure: a PBE-relaxed structure
Intensities are scaled so that the largest is 1000.

Cell and atoms:
```
4
Lattice="2.128 1.229 7.622 -2.128 1.229 7.622 0.000 -2.458 7.622" Properties=species:S:1:pos:R:3 pbc="T T T"
Tl 0.000 0.000 0.000
Tl 0.000 0.000 5.273
In 0.000 0.000 17.410
As 0.000 0.000 11.075
```

Largest 10 diffraction maxima, in order of falling intensity, 2θ = 15–90°:
28.8 deg, rel. 1000
42.5 deg, rel. 387
39.9 deg, rel. 314
31.2 deg, rel. 228
52.1 deg, rel. 194
69.4 deg, rel. 165
56.4 deg, rel. 157
24.5 deg, rel. 146
35.3 deg, rel. 98
58.1 deg, rel. 98



Entry 2:
Computed powder XRD pattern
Compound: ZnInAs2
Radiation: Cu Kα
Structure: a PBE-relaxed structure
Intensities are scaled so that the largest is 1000.

Cell and atoms:
```
4
Lattice="1.874 -2.390 0.000 1.874 2.390 0.000 0.000 0.000 9.301" Properties=species:S:1:pos:R:3 pbc="T T T"
Zn 0.000 0.000 0.000
In 0.000 0.000 4.650
As 1.874 0.000 1.924
As 1.874 0.000 7.377
```

Largest 10 diffraction maxima, in order of falling intensity, 2θ = 15–90°:
36.1 deg, rel. 1000
37.6 deg, rel. 254
66.9 deg, rel. 156
38.7 deg, rel. 135
48.6 deg, rel. 120
28.8 deg, rel. 110
63.0 deg, rel. 107
31.8 deg, rel. 102
55.1 deg, rel. 94
58.7 deg, rel. 89

=====

(1)
Bi2Sb2Pt7Rh: simulated PXRD pattern (Cu Kα, 1.54184 Å), based on a structure optimized by DFT (GGA-PBE).
Intensities are scaled so that the largest is 100.

Structure:
```
data_Bi2Sb2Pt7Rh
_chemical_formula_sum 'Bi4 Sb4 Pt14 Rh2'
_space_group_name_H-M_alt 'I 4/m m m'
_space_group_IT_number 139
_space_group_name_Hall '-I 4 2'
_cell_length_a 3.9915
_cell_length_b 3.9915
_cell_length_c 32.0459
_cell_angle_alpha 90.00
_cell_angle_beta 90.00
_cell_angle_gamma 90.00
loop_
_atom_site_label
_atom_site_type_symbol
_atom_site_fract_x
_atom_site_fract_y
_atom_site_fract_z
_atom_site_occupancy
Bi1 Bi 0.0000 0.0000 0.2135 1
Sb1 Sb 0.0000 0.0000 0.3832 1
Pt1 Pt 0.0000 0.0000 0.3016 1
Pt2 Pt 0.0000 0.0000 0.5000 1
Pt3 Pt 0.0000 0.5000 0.0625 1
Rh1 Rh 0.0000 0.0000 0.0000 1
```

Most intense lines, 10° ≤ 2θ ≤ 80°, in order of rising 2θ:
2θ 11.04, I 41
2θ 22.19, I 24
2θ 22.45, I 18
2θ 32.20, I 66
2θ 35.99, I 42
-- stop --
What is the philosophy of this philosopher? Reduced to a single proposition, it is that if you concede defeat on the larger issue, you can achieve some nice victories in smaller ways. The larger issue is whether the world can be changed. It can’t. But brandy is still drunk, and can be sold. One can survive, and one can help one’s children to survive by teaching each to make appropriate use of the qualities God gave him.
Mother Courage has a small cart of good to sell. She can hitch it to either herself or her children. She follows the warring parties selling rum and various necessities, making her living and trying to stay out of harms way. However by 1624 there is a short moment of peace and this deeply threatens her way of life. Peace is bad for business. She complains:
“What else can you expect with peace running wild all over the place? You know what the trouble with peace is? No organization. And when you get organization? In a war.”
Mother Courage sees life as a struggle to survive and get by. She can’t control the larger forces so she works out how to survive for herself and children, at least as best she can. Two of her sons, nearly grown, are taken into the war, and she is left with her mute daughter, who is not only mute but not very good looking. Mother Courage needs to survive herself, but also has some hopes of marrying off her daughter to help protect her future.
Her three children, Eilif, Swiss Cheese and Katrin, each has a different father, none of whom Mother Courage ever had much to do with. She’s a loner, but a caring mother nonetheless. She has to have the courage she does to survive, but cunning too. However, she is convinced that were there a safe society one wouldn’t need heroic courage:
“When a general or a king is stupid and leads his soldiers into a trap, they need this virtue of courage. When he’s tightfisted and hasn’t enough soldiers, the few he does have need the heroism of Hercules – another virtue. And if he’s slovenly and doesn’t give a damn about anything, they have to be a wise as serpents or they’re finished. Loyalty’s another virtue and you need plenty of it if the king’s always asking too much of you. All virtues which a well-regulated country with of good king or a good general wouldn’t need. In a good country virtues wouldn’t be necessary. Everybody could be quiet ordinary, middling, and for all I care, cowards.”
As best she can she tries to operate her own family as a tiny country which she runs in a well-regulated manner. The dilemma she faces is that she may be a tiny country that is somewhat succeeding as she describes, but her tiny country is also incorporated into a larger country that, on her definition, is not well-regulated.
┌──
Calculated powder diffraction line list
Compound: NbCuNiRh
Radiation: Cu Ka
Structure: a DFT-relaxed cell (PBE, Alexandria)
Intensities are scaled so that the largest is 100.

Largest 8 diffraction maxima, low angle first, 2θ from 10° to 90°:
41.13 deg, intensity 100; 47.26 deg, intensity 33; 49.04 deg, intensity 15; 69.06 deg, intensity 10; 70.47 deg, intensity 19; 83.65 deg, intensity 23; 86.31 deg, intensity 11; 89.26 deg, intensity 10

Atomic structure:
Cell lengths 4.6045, 4.6045, 4.6045 Å; angles 130.62, 130.62, 72.42 degrees
Positions (direct):
1 Nb 0.0000 0.0000 0.0000
2 Cu 0.5000 0.5000 0.0000
3 Ni 0.7500 0.2500 0.5000
4 Rh 0.2500 0.7500 0.5000

~~~~~

Calculated powder diffraction line list of CaHfCr2O6 for Cu Ka, from a DFT-relaxed cell (PBE+U, Alexandria).
No peak broadening, texture or thermal motion is included.

Crystal structure
```
data_CaHfCr2O6
_symmetry_space_group_name_H-M 'R 3'
_symmetry_Int_Tables_number 146
_symmetry_space_group_name_Hall 'R 3'
_cell_length_a 5.3548
_cell_length_b 5.3548
_cell_length_c 14.0127
_cell_angle_alpha 90.00
_cell_angle_beta 90.00
_cell_angle_gamma 120.00
loop_
_atom_site_label
_atom_site_type_symbol
_atom_site_fract_x
_atom_site_fract_y
_atom_site_fract_z
Ca1 Ca 0.0000 0.0000 0.0000
Hf1 Hf 0.0000 0.0000 0.5156
Cr1 Cr 0.0000 0.0000 0.2206
Cr2 Cr 0.0000 0.0000 0.7236
O1 O 0.0346 0.3430 0.7979
O2 O 0.0859 0.7271 0.2908
```

The 10 most intense peaks (2θ from 10° to 90°), in order of falling intensity:
2theta  Rel. int.
32.02  100.0
33.47  94.0
20.17  79.6
23.00  53.6
51.96  46.4
47.00  43.4
58.92  38.0
38.77  37.1
19.00  32.3
59.83  30.2
└──
There is an irony too, that this is a religious war, nonetheless, a war that is bringing about great cruelty, death and mayhem. The chaplain defends the war as good since it is a war of religion where each soldier is fighting for God. However the cook replies:
“In one sense it’s a war because there’s fleecing, bribing, plundering, not to mention a little raping, but it’s a war of religion, that’s clear. All the same it makes you thirsty.”
The cook is much like Mother Courage in this regard. The larger issues are not things he has control of. He can simply strive for survival given his environment and seek the few pleasures available to him. Like the cook Mother Courage has absolutely no idealism. She lives pragmatically in a very difficult world, expects little and tries to survive:
“God is merciful, and men a bribable, that how His will is done on earth as it is in heaven.”
Her very name, Mother Courage, points to the necessity of courage (as she understands it) to survive in a world totally beyond her control.
“The poor need courage. Why? They’re lost. That they even get up in the morning is something – in their plight. Or that they plough a field – in war time. Even their bring children into the world shows they have courage, for they have no prospects. They have to hang each other one by one and slaughter each other in the lump, so if they want to look each other in the face once in a while, well, it takes courage. That they have to put up with an Emperor and a Pope, that takes an unnatural amount of courage, for they cost you your life.”
Both the generals with their belief in war and the chaplain with his belief in God are quite contrary to Mother Courage’s earthy belief is survival of the fittest by very practical manners. Because she tries to prepare against threats and dangers the chaplain gives his own description of her, only to be cut down by her hard-nosed practicality.
“Chaplain: Mother Courage, I have often thought that – under a veil of plain speech – you conceal a heart. You're human, you need warmth.
She replies:
The best way of warming this tent is to chop plenty of firewood.”
The larger world is hard on her. She loses her favorite son, Swiss Cheese and her daughter. She can only do what she can do, but she goes on doing it without complaint and trying always to create that tiny space of peace and security which is so hard to do in a world so much more powerful that oneself.
Brecht’s message is harsh but extremely well presented in this powerful character, Mother Courage. The play is a good read and lays out the conditions of survival which so many of the poor and middle classes of the world have always faced.
Bob Corbett corbetre@webster.eduBecoming | Reading | Thinking | Journals |
Bob Corbett